Entries:
'''
Below is a relaxed CoNiRh2 crystal, with properties calculated at the PBEsol level.

Unit cell a=2.609 b=4.397 c=4.397 alpha=107.28 beta=90.00 gamma=90.00
Atoms (fractional coordinates):
Ni 0.500 0.500 0.500
Rh 0.000 0.500 0.000
Rh 0.000 0.000 0.500
Co 0.500 0.000 0.000

Summary:
Energy above the lowest structure with this stoichiometry in eV/atom: 0.0148
Total energy in eV per atom: -7.468
Energy of formation in eV per atom: 0.075

Below is a relaxed FeOsPt2 crystal, with properties calculated at the PBEsol level.

Unit cell a=2.685 b=4.370 c=4.751 alpha=90.00 beta=90.00 gamma=90.00
Atoms (fractional coordinates):
Fe 0.500 0.000 0.533
Os 0.500 0.500 0.214
Pt 0.000 0.000 0.046
Pt 0.000 0.500 0.706

Summary:
Energy above the lowest structure with this stoichiometry in eV/atom: 0.0000
Total energy in eV per atom: -8.759
Energy of formation in eV per atom: 0.017

Below is a relaxed LiIn2S2 crystal, with properties calculated at the PBEsol level.

Unit cell a=4.060 b=4.060 c=7.527 alpha=105.65 beta=105.65 gamma=90.00
Atoms (fractional coordinates):
S 0.422 0.422 0.845
S 0.578 0.578 0.155
Li 0.000 0.000 0.000
In 0.250 0.750 0.500
In 0.750 0.250 0.500

Summary:
Total energy in eV per atom: -3.581

Below is a relaxed MgCrPt4 crystal, with properties calculated at the PBEsol level.

Unit cell a=5.209 b=5.209 c=5.209 alpha=60.00 beta=60.00 gamma=60.00
Atoms (fractional coordinates):
Cr 0.750 0.750 0.750
Mg 0.000 0.000 0.000
Pt 0.375 0.375 0.375
Pt 0.375 0.375 0.875
Pt 0.875 0.375 0.375
Pt 0.375 0.875 0.375

Summary:
Total energy in eV per atom: -6.793
Energy of formation in eV per atom: -0.158

Below is a relaxed Ba2PbF2 crystal, with properties calculated at the PBEsol level.

Unit cell a=5.164 b=5.164 c=6.826 alpha=112.22 beta=112.22 gamma=90.00
Atoms (fractional coordinates):
Pb 0.000 0.000 0.000
Ba 0.250 0.750 0.500
Ba 0.750 0.250 0.500
F 0.306 0.306 0.613
F 0.694 0.694 0.387

Summary:
Total energy in eV per atom: -4.469

Below is a relaxed LiFe2Cl crystal, with properties calculated at the PBEsol level.

Unit cell a=3.076 b=3.076 c=6.378 alpha=90.00 beta=90.00 gamma=90.00
Atoms (fractional coordinates):
Cl 0.500 0.500 0.635
Fe 0.000 0.000 0.091
Fe 0.500 0.500 0.252
Li 0.000 0.000 0.522

Summary:
Energy above the lowest structure with this stoichiometry in eV/atom: 0.0385
Total energy in eV per atom: -5.568

Below is a relaxed Cd2OsSe crystal, with properties calculated at the PBEsol level.

Unit cell a=3.947 b=3.947 c=5.293 alpha=111.89 beta=111.89 gamma=90.00
Atoms (fractional coordinates):
Cd 0.750 0.250 0.500
Cd 0.250 0.750 0.500
Os 0.500 0.500 0.000
Se 0.000 0.000 0.000

Summary:
Total energy in eV per atom: -3.976

Below is a relaxed Te2PbSeI crystal, with properties calculated at the PBEsol level.

Unit cell a=5.513 b=5.513 c=5.424 alpha=90.00 beta=90.00 gamma=90.00
Atoms (fractional coordinates):
Pb 0.500 0.500 0.500
I 0.000 0.000 0.500
Te 0.000 0.500 0.000
Te 0.500 0.000 0.000
Se 0.000 0.000 0.000

Summary:
Energy above the lowest structure with this stoichiometry in eV/atom: 0.0000
Total energy in eV per atom: -3.137

Below is a relaxed Tl2CuSi crystal, with properties calculated at the PBEsol level.

Unit cell a=5.055 b=4.802 c=5.055 alpha=121.76 beta=90.00 gamma=121.76
Atoms (fractional coordinates):
Cu 0.500 0.000 0.500
Si 0.000 0.000 0.000
Tl 0.750 0.500 0.250
Tl 0.250 0.500 0.750

Summary:
Energy above the lowest structure with this stoichiometry in eV/atom: 0.2712
Total energy in eV per atom: -3.319

Below is a relaxed Ba2Mg crystal, with properties calculated at the PBEsol level.

Unit cell a=6.052 b=7.868 c=11.281 alpha=90.00 beta=90.00 gamma=90.00
Atoms (fractional coordinates):
Ba 0.750 0.960 0.793
Ba 0.750 0.822 0.433
Ba 0.250 0.678 0.933
Ba 0.250 0.540 0.293
Ba 0.750 0.460 0.707
Ba 0.750 0.322 0.067
Ba 0.250 0.178 0.567
Ba 0.250 0.040 0.207
Mg 0.750 0.797 0.106
Mg 0.250 0.703 0.606
Mg 0.750 0.297 0.394
Mg 0.250 0.203 0.894

Summary:
Total energy in eV per atom: -2.026
'''

To do:
It remains to quote the data above without additions.

Reply:
Below is a relaxed CoNiRh2 crystal, with properties calculated at the PBEsol level.

Unit cell a=2.609 b=4.397 c=4.397 alpha=107.28 beta=90.00 gamma=90.00
Atoms (fractional coordinates):
Ni 0.500 0.500 0.500
Rh 0.000 0.500 0.000
Rh 0.000 0.000 0.500
Co 0.500 0.000 0.000

Summary:
Energy above the lowest structure with this stoichiometry in eV/atom: 0.0148
Total energy in eV per atom: -7.468
Energy of formation in eV per atom: 0.075

Below is a relaxed FeOsPt2 crystal, with properties calculated at the PBEsol level.

Unit cell a=2.685 b=4.370 c=4.751 alpha=90.00 beta=90.00 gamma=90.00
Atoms (fractional coordinates):
Fe 0.500 0.000 0.533
Os 0.500 0.500 0.214
Pt 0.000 0.000 0.046
Pt 0.000 0.500 0.706

Summary:
Energy above the lowest structure with this stoichiometry in eV/atom: 0.0000
Total energy in eV per atom: -8.759
Energy of formation in eV per atom: 0.017

Below is a relaxed LiIn2S2 crystal, with properties calculated at the PBEsol level.

Unit cell a=4.060 b=4.060 c=7.527 alpha=105.65 beta=105.65 gamma=90.00
Atoms (fractional coordinates):
S 0.422 0.422 0.845
S 0.578 0.578 0.155
Li 0.000 0.000 0.000
In 0.250 0.750 0.500
In 0.750 0.250 0.500

Summary:
Total energy in eV per atom: -3.581

Below is a relaxed MgCrPt4 crystal, with properties calculated at the PBEsol level.

Unit cell a=5.209 b=5.209 c=5.209 alpha=60.00 beta=60.00 gamma=60.00
Atoms (fractional coordinates):
Cr 0.750 0.750 0.750
Mg 0.000 0.000 0.000
Pt 0.375 0.375 0.375
Pt 0.375 0.375 0.875
Pt 0.875 0.375 0.375
Pt 0.375 0.875 0.375

Summary:
Total energy in eV per atom: -6.793
Energy of formation in eV per atom: -0.158

Below is a relaxed Ba2PbF2 crystal, with properties calculated at the PBEsol level.

Unit cell a=5.164 b=5.164 c=6.826 alpha=112.22 beta=112.22 gamma=90.00
Atoms (fractional coordinates):
Pb 0.000 0.000 0.000
Ba 0.250 0.750 0.500
Ba 0.750 0.250 0.500
F 0.306 0.306 0.613
F 0.694 0.694 0.387

Summary:
Total energy in eV per atom: -4.469

Below is a relaxed LiFe2Cl crystal, with properties calculated at the PBEsol level.

Unit cell a=3.076 b=3.076 c=6.378 alpha=90.00 beta=90.00 gamma=90.00
Atoms (fractional coordinates):
Cl 0.500 0.500 0.635
Fe 0.000 0.000 0.091
Fe 0.500 0.500 0.252
Li 0.000 0.000 0.522

Summary:
Energy above the lowest structure with this stoichiometry in eV/atom: 0.0385
Total energy in eV per atom: -5.568

Below is a relaxed Cd2OsSe crystal, with properties calculated at the PBEsol level.

Unit cell a=3.947 b=3.947 c=5.293 alpha=111.89 beta=111.89 gamma=90.00
Atoms (fractional coordinates):
Cd 0.750 0.250 0.500
Cd 0.250 0.750 0.500
Os 0.500 0.500 0.000
Se 0.000 0.000 0.000

Summary:
Total energy in eV per atom: -3.976

Below is a relaxed Te2PbSeI crystal, with properties calculated at the PBEsol level.

Unit cell a=5.513 b=5.513 c=5.424 alpha=90.00 beta=90.00 gamma=90.00
Atoms (fractional coordinates):
Pb 0.500 0.500 0.500
I 0.000 0.000 0.500
Te 0.000 0.500 0.000
Te 0.500 0.000 0.000
Se 0.000 0.000 0.000

Summary:
Energy above the lowest structure with this stoichiometry in eV/atom: 0.0000
Total energy in eV per atom: -3.137

Below is a relaxed Tl2CuSi crystal, with properties calculated at the PBEsol level.

Unit cell a=5.055 b=4.802 c=5.055 alpha=121.76 beta=90.00 gamma=121.76
Atoms (fractional coordinates):
Cu 0.500 0.000 0.500
Si 0.000 0.000 0.000
Tl 0.750 0.500 0.250
Tl 0.250 0.500 0.750

Summary:
Energy above the lowest structure with this stoichiometry in eV/atom: 0.2712
Total energy in eV per atom: -3.319

Below is a relaxed Ba2Mg crystal, with properties calculated at the PBEsol level.

Unit cell a=6.052 b=7.868 c=11.281 alpha=90.00 beta=90.00 gamma=90.00
Atoms (fractional coordinates):
Ba 0.750 0.960 0.793
Ba 0.750 0.822 0.433
Ba 0.250 0.678 0.933
Ba 0.250 0.540 0.293
Ba 0.750 0.460 0.707
Ba 0.750 0.322 0.067
Ba 0.250 0.178 0.567
Ba 0.250 0.040 0.207
Mg 0.750 0.797 0.106
Mg 0.250 0.703 0.606
Mg 0.750 0.297 0.394
Mg 0.250 0.203 0.894

Summary:
Total energy in eV per atom: -2.026